**Activity:**
Now print all of the contents further below with every line break kept.

**Contents:**
[1]
The following is a DFT calculation (ωB97M-V with the def2-TZVPD basis set) of a molecular structure, C44H34N3O3P2PdTe.

Element x y z (Å)
1 Pd 0.40 0.27 0.39
2 O -1.53 4.70 -2.35
3 C -0.31 4.53 -2.89
4 C 0.02 5.33 -3.98
5 C 1.26 5.22 -4.59
6 C 2.20 4.31 -4.11
7 C 1.86 3.51 -3.03
8 C 0.62 3.60 -2.41
9 C 0.33 2.66 -1.27
10 O 1.17 1.74 -1.03
11 N -0.82 2.85 -0.65
12 N -1.03 1.88 0.33
13 C -2.21 1.81 0.83
14 C -2.62 0.89 1.88
15 C -3.99 0.89 2.19
16 C -4.52 0.10 3.18
17 C -3.64 -0.70 3.92
18 C -2.29 -0.71 3.65
19 C -1.71 0.07 2.62
20 O -0.44 0.02 2.42
21 H -1.58 4.09 -1.56
22 H -0.71 6.04 -4.34
23 H 1.50 5.85 -5.43
24 H 3.17 4.22 -4.58
25 H 2.56 2.78 -2.64
26 H -2.97 2.50 0.44
27 H -4.63 1.54 1.61
28 H -5.58 0.11 3.40
29 H -4.03 -1.33 4.71
30 H -1.62 -1.34 4.22
31 Te 2.33 -0.43 -2.59
32 C 2.83 -2.08 -3.81
33 C 2.58 -3.40 -3.48
34 C 2.92 -4.40 -4.38
35 N 3.49 -4.18 -5.56
36 C 3.72 -2.90 -5.87
37 C 3.41 -1.83 -5.05
38 C 1.31 -1.54 -1.11
39 P 1.98 -1.46 0.55
40 C 3.78 -1.73 0.55
41 C 4.49 -1.31 1.67
42 C 5.85 -1.56 1.77
43 C 6.52 -2.21 0.75
44 C 5.82 -2.62 -0.38
45 C 4.46 -2.38 -0.47
46 C 1.41 -2.96 1.41
47 C 1.60 -4.22 0.84
48 C 1.16 -5.36 1.49
49 C 0.54 -5.25 2.73
50 C 0.35 -4.01 3.30
51 C 0.78 -2.86 2.65
52 P -0.44 -2.00 -1.03
53 C -1.56 -0.73 -1.73
54 C -1.26 0.28 -2.65
55 C -2.24 1.16 -3.08
56 C -3.54 1.04 -2.61
57 C -3.86 0.03 -1.70
58 C -2.87 -0.84 -1.27
59 C -0.62 -3.25 -2.39
60 C -0.53 -2.93 -3.74
61 C -0.61 -3.92 -4.71
62 C -0.80 -5.24 -4.33
63 C -0.91 -5.57 -2.99
64 C -0.82 -4.58 -2.02
65 H 2.09 -3.66 -2.55
66 H 2.72 -5.43 -4.13
67 H 4.18 -2.72 -6.84
68 H 3.63 -0.83 -5.39
69 H 3.97 -0.80 2.47
70 H 6.39 -1.23 2.65
71 H 7.58 -2.39 0.82
72 H 6.33 -3.13 -1.19
73 H 3.92 -2.72 -1.35
74 H 2.08 -4.30 -0.13
75 H 1.31 -6.33 1.03
76 H 0.19 -6.14 3.23
77 H -0.15 -3.92 4.25
78 H 0.58 -1.87 3.06
79 H -0.25 0.40 -3.01
80 H -1.98 1.95 -3.76
81 H -4.30 1.74 -2.93
82 H -4.86 -0.06 -1.32
83 H -3.11 -1.60 -0.53
84 H -0.38 -1.90 -4.04
85 H -0.52 -3.66 -5.75
86 H -0.86 -6.02 -5.09
87 H -1.06 -6.60 -2.69
88 H -0.90 -4.83 -0.97

## Properties
2S+1: 3
gap between HOMO and LUMO (alpha / beta): 6.603 / 6.312 eV
charge: -1
E_LUMO (alpha / beta): 2.2 / 1.6 eV
expectation value of S²: 2.0137
HOMO energy (alpha / beta): -4.362 / -4.698 eV

Atom charges from the Löwdin analysis, given in e for atoms 1 to 8: 0.72, 0.03, -0.29, -0.03, -0.10, -0.10, -0.04, -0.07

=====

[2]
The following is a DFT calculation (ωB97M-V with the def2-TZVPD basis set) of a molecular structure, C44H35BrCl2N2O8RbTe.

Element x y z (Å)
1 Rb 2.72 -0.73 -0.24
2 O 4.80 -2.43 -0.72
3 C 4.78 -2.95 -1.87
4 O 4.63 -4.14 -2.19
5 C 4.97 -1.94 -2.99
6 C 5.93 -2.15 -3.98
7 C 6.13 -1.17 -4.93
8 C 5.33 -0.03 -4.90
9 C 4.36 0.06 -3.92
10 N 4.19 -0.87 -2.98
11 C 3.44 1.25 -3.79
12 O 3.21 1.94 -4.94
13 O 2.96 1.61 -2.76
14 H 4.10 -2.95 0.61
15 H 6.51 -3.06 -3.96
16 H 6.90 -1.28 -5.69
17 H 5.49 0.76 -5.62
18 H 3.56 1.44 -5.68
19 Cl 0.82 -4.93 -0.31
20 C 1.54 -4.53 -1.88
21 Cl 1.44 -2.80 -2.23
22 H 0.98 -5.05 -2.64
23 H 2.60 -4.79 -1.86
24 C -4.38 2.15 2.52
25 C -3.05 1.66 2.00
26 C -1.86 1.95 2.63
27 C -0.61 1.49 2.18
28 C 0.61 1.85 2.91
29 O 1.68 1.27 2.80
30 C 0.57 3.03 3.86
31 C 1.19 2.89 5.10
32 C 1.25 3.95 5.98
33 C 0.72 5.18 5.62
34 C 0.12 5.34 4.37
35 C 0.04 4.26 3.50
36 C -0.54 0.66 1.01
37 O 0.52 0.14 0.56
38 C -1.79 0.40 0.35
39 C -2.99 0.88 0.83
40 C -1.73 -0.43 -0.89
41 N -2.05 -1.65 -0.97
42 C -2.36 -2.40 0.23
43 C -3.83 -2.82 0.30
44 Te -4.79 -3.30 -1.55
45 C -5.04 -1.30 -2.16
46 C -5.85 -0.43 -1.43
47 C -5.95 0.90 -1.80
48 C -5.26 1.38 -2.90
49 C -4.47 0.51 -3.64
50 C -4.36 -0.82 -3.27
51 C -1.29 0.25 -2.15
52 C -1.13 1.63 -2.20
53 C -0.72 2.25 -3.37
54 C -0.46 1.50 -4.51
55 C -0.61 0.11 -4.46
56 C -1.02 -0.50 -3.29
57 H -4.24 2.77 3.41
58 H -5.04 1.33 2.80
59 H -4.91 2.76 1.78
60 H -1.90 2.54 3.54
61 H 1.63 1.93 5.35
62 H 1.71 3.82 6.95
63 H 0.77 6.02 6.30
64 H -0.28 6.30 4.08
65 H -0.43 4.38 2.53
66 H -3.90 0.65 0.29
67 H -2.15 -1.83 1.14
68 H -1.73 -3.28 0.23

**Response:**
[1]
The following is a DFT calculation (ωB97M-V with the def2-TZVPD basis set) of a molecular structure, C44H34N3O3P2PdTe.

Element x y z (Å)
1 Pd 0.40 0.27 0.39
2 O -1.53 4.70 -2.35
3 C -0.31 4.53 -2.89
4 C 0.02 5.33 -3.98
5 C 1.26 5.22 -4.59
6 C 2.20 4.31 -4.11
7 C 1.86 3.51 -3.03
8 C 0.62 3.60 -2.41
9 C 0.33 2.66 -1.27
10 O 1.17 1.74 -1.03
11 N -0.82 2.85 -0.65
12 N -1.03 1.88 0.33
13 C -2.21 1.81 0.83
14 C -2.62 0.89 1.88
15 C -3.99 0.89 2.19
16 C -4.52 0.10 3.18
17 C -3.64 -0.70 3.92
18 C -2.29 -0.71 3.65
19 C -1.71 0.07 2.62
20 O -0.44 0.02 2.42
21 H -1.58 4.09 -1.56
22 H -0.71 6.04 -4.34
23 H 1.50 5.85 -5.43
24 H 3.17 4.22 -4.58
25 H 2.56 2.78 -2.64
26 H -2.97 2.50 0.44
27 H -4.63 1.54 1.61
28 H -5.58 0.11 3.40
29 H -4.03 -1.33 4.71
30 H -1.62 -1.34 4.22
31 Te 2.33 -0.43 -2.59
32 C 2.83 -2.08 -3.81
33 C 2.58 -3.40 -3.48
34 C 2.92 -4.40 -4.38
35 N 3.49 -4.18 -5.56
36 C 3.72 -2.90 -5.87
37 C 3.41 -1.83 -5.05
38 C 1.31 -1.54 -1.11
39 P 1.98 -1.46 0.55
40 C 3.78 -1.73 0.55
41 C 4.49 -1.31 1.67
42 C 5.85 -1.56 1.77
43 C 6.52 -2.21 0.75
44 C 5.82 -2.62 -0.38
45 C 4.46 -2.38 -0.47
46 C 1.41 -2.96 1.41
47 C 1.60 -4.22 0.84
48 C 1.16 -5.36 1.49
49 C 0.54 -5.25 2.73
50 C 0.35 -4.01 3.30
51 C 0.78 -2.86 2.65
52 P -0.44 -2.00 -1.03
53 C -1.56 -0.73 -1.73
54 C -1.26 0.28 -2.65
55 C -2.24 1.16 -3.08
56 C -3.54 1.04 -2.61
57 C -3.86 0.03 -1.70
58 C -2.87 -0.84 -1.27
59 C -0.62 -3.25 -2.39
60 C -0.53 -2.93 -3.74
61 C -0.61 -3.92 -4.71
62 C -0.80 -5.24 -4.33
63 C -0.91 -5.57 -2.99
64 C -0.82 -4.58 -2.02
65 H 2.09 -3.66 -2.55
66 H 2.72 -5.43 -4.13
67 H 4.18 -2.72 -6.84
68 H 3.63 -0.83 -5.39
69 H 3.97 -0.80 2.47
70 H 6.39 -1.23 2.65
71 H 7.58 -2.39 0.82
72 H 6.33 -3.13 -1.19
73 H 3.92 -2.72 -1.35
74 H 2.08 -4.30 -0.13
75 H 1.31 -6.33 1.03
76 H 0.19 -6.14 3.23
77 H -0.15 -3.92 4.25
78 H 0.58 -1.87 3.06
79 H -0.25 0.40 -3.01
80 H -1.98 1.95 -3.76
81 H -4.30 1.74 -2.93
82 H -4.86 -0.06 -1.32
83 H -3.11 -1.60 -0.53
84 H -0.38 -1.90 -4.04
85 H -0.52 -3.66 -5.75
86 H -0.86 -6.02 -5.09
87 H -1.06 -6.60 -2.69
88 H -0.90 -4.83 -0.97

## Properties
2S+1: 3
gap between HOMO and LUMO (alpha / beta): 6.603 / 6.312 eV
charge: -1
E_LUMO (alpha / beta): 2.2 / 1.6 eV
expectation value of S²: 2.0137
HOMO energy (alpha / beta): -4.362 / -4.698 eV

Atom charges from the Löwdin analysis, given in e for atoms 1 to 8: 0.72, 0.03, -0.29, -0.03, -0.10, -0.10, -0.04, -0.07

=====

[2]
The following is a DFT calculation (ωB97M-V with the def2-TZVPD basis set) of a molecular structure, C44H35BrCl2N2O8RbTe.

Element x y z (Å)
1 Rb 2.72 -0.73 -0.24
2 O 4.80 -2.43 -0.72
3 C 4.78 -2.95 -1.87
4 O 4.63 -4.14 -2.19
5 C 4.97 -1.94 -2.99
6 C 5.93 -2.15 -3.98
7 C 6.13 -1.17 -4.93
8 C 5.33 -0.03 -4.90
9 C 4.36 0.06 -3.92
10 N 4.19 -0.87 -2.98
11 C 3.44 1.25 -3.79
12 O 3.21 1.94 -4.94
13 O 2.96 1.61 -2.76
14 H 4.10 -2.95 0.61
15 H 6.51 -3.06 -3.96
16 H 6.90 -1.28 -5.69
17 H 5.49 0.76 -5.62
18 H 3.56 1.44 -5.68
19 Cl 0.82 -4.93 -0.31
20 C 1.54 -4.53 -1.88
21 Cl 1.44 -2.80 -2.23
22 H 0.98 -5.05 -2.64
23 H 2.60 -4.79 -1.86
24 C -4.38 2.15 2.52
25 C -3.05 1.66 2.00
26 C -1.86 1.95 2.63
27 C -0.61 1.49 2.18
28 C 0.61 1.85 2.91
29 O 1.68 1.27 2.80
30 C 0.57 3.03 3.86
31 C 1.19 2.89 5.10
32 C 1.25 3.95 5.98
33 C 0.72 5.18 5.62
34 C 0.12 5.34 4.37
35 C 0.04 4.26 3.50
36 C -0.54 0.66 1.01
37 O 0.52 0.14 0.56
38 C -1.79 0.40 0.35
39 C -2.99 0.88 0.83
40 C -1.73 -0.43 -0.89
41 N -2.05 -1.65 -0.97
42 C -2.36 -2.40 0.23
43 C -3.83 -2.82 0.30
44 Te -4.79 -3.30 -1.55
45 C -5.04 -1.30 -2.16
46 C -5.85 -0.43 -1.43
47 C -5.95 0.90 -1.80
48 C -5.26 1.38 -2.90
49 C -4.47 0.51 -3.64
50 C -4.36 -0.82 -3.27
51 C -1.29 0.25 -2.15
52 C -1.13 1.63 -2.20
53 C -0.72 2.25 -3.37
54 C -0.46 1.50 -4.51
55 C -0.61 0.11 -4.46
56 C -1.02 -0.50 -3.29
57 H -4.24 2.77 3.41
58 H -5.04 1.33 2.80
59 H -4.91 2.76 1.78
60 H -1.90 2.54 3.54
61 H 1.63 1.93 5.35
62 H 1.71 3.82 6.95
63 H 0.77 6.02 6.30
64 H -0.28 6.30 4.08
65 H -0.43 4.38 2.53
66 H -3.90 0.65 0.29
67 H -2.15 -1.83 1.14
68 H -1.73 -3.28 0.23